### Excerpt
____________
1) The following is a DFT calculation (PBE with a Hubbard U) of an optimized crystal structure of LiP3W2O13.

Summary:
Size of the total moment (μB per atom): 0.11

abc: 8.934 8.934 8.907
angles: 69.18 69.18 105.29
Fractional coordinates of all 38 atoms:
O 0.701 0.963 0.467
P 0.488 0.512 0.250
O 0.501 0.603 0.582
O 0.802 0.856 0.768
O 0.603 0.501 0.082
O 0.930 0.254 0.406
O 0.299 0.037 0.533
O 0.144 0.198 0.732
W 0.339 0.172 0.671
O 0.152 0.600 0.097
O 0.290 0.444 0.293
O 0.254 0.930 0.906
O 0.710 0.556 0.707
O 0.070 0.746 0.594
O 0.400 0.848 0.403
Li 0.500 0.000 0.000
P 0.260 0.848 0.560
W 0.828 0.661 0.829
O 0.739 0.261 0.250
O 0.198 0.144 0.232
O 0.556 0.710 0.207
W 0.172 0.339 0.171
O 0.444 0.290 0.793
O 0.856 0.802 0.268
O 0.848 0.400 0.903
P 0.152 0.740 0.940
P 0.740 0.152 0.440
Li 0.000 0.500 0.500
O 0.037 0.299 0.033
O 0.499 0.397 0.418
O 0.600 0.152 0.597
W 0.661 0.828 0.329
P 0.512 0.488 0.750
O 0.397 0.499 0.918
O 0.746 0.070 0.094
O 0.963 0.701 0.967
O 0.261 0.739 0.750
P 0.848 0.260 0.060


2) The following is a DFT calculation (PBE with a Hubbard U) of an optimized crystal structure of LiP3W2O13.

Summary:
Size of the total moment (μB per atom): 0.11

abc: 22.637 6.487 8.832
angles: 52.72 90.00 90.00
Fractional coordinates of all 76 atoms:
O 0.085 0.646 0.459
P 0.901 0.980 0.301
P 0.584 0.464 0.154
O 0.845 0.545 0.230
O 0.112 0.246 0.478
P 0.084 0.536 0.346
O 0.023 0.504 0.290
O 0.155 0.455 0.770
O 0.192 0.418 0.063
O 0.840 0.061 0.208
O 0.794 0.943 0.946
W 0.792 0.255 0.958
W 0.208 0.745 0.042
O 0.066 0.811 0.705
W 0.708 0.255 0.458
P 0.296 0.357 0.420
O 0.345 0.455 0.270
O 0.436 0.262 0.526
W 0.292 0.745 0.542
P 0.099 0.020 0.699
O 0.221 0.838 0.441
O 0.737 0.515 0.183
O 0.779 0.162 0.559
O 0.263 0.485 0.817
O 0.585 0.354 0.041
O 0.660 0.061 0.708
O 0.625 0.312 0.326
O 0.434 0.811 0.205
O 0.279 0.838 0.941
O 0.888 0.754 0.522
Li 0.150 0.975 0.290
W 0.565 0.555 0.722
O 0.059 0.133 0.772
O 0.875 0.312 0.826
O 0.237 0.485 0.317
O 0.523 0.496 0.210
O 0.941 0.867 0.228
O 0.375 0.688 0.674
O 0.125 0.688 0.174
O 0.294 0.057 0.554
W 0.435 0.445 0.278
O 0.655 0.545 0.730
O 0.441 0.133 0.272
W 0.935 0.555 0.222
Li 0.350 0.975 0.790
Li 0.850 0.025 0.710
O 0.415 0.646 0.959
O 0.915 0.354 0.541
O 0.721 0.162 0.059
O 0.936 0.738 0.974
O 0.559 0.867 0.728
O 0.160 0.939 0.792
O 0.477 0.504 0.790
O 0.692 0.582 0.437
O 0.706 0.943 0.446
O 0.064 0.262 0.026
P 0.416 0.536 0.846
O 0.934 0.189 0.295
O 0.763 0.515 0.683
O 0.340 0.939 0.292
O 0.564 0.738 0.474
P 0.599 0.980 0.801
P 0.916 0.464 0.654
O 0.308 0.418 0.563
P 0.704 0.643 0.580
O 0.388 0.246 0.978
O 0.977 0.496 0.710
P 0.204 0.357 0.920
P 0.796 0.643 0.080
O 0.808 0.582 0.937
P 0.401 0.020 0.199
O 0.612 0.754 0.022
W 0.065 0.445 0.778
O 0.566 0.189 0.795
Li 0.650 0.025 0.210
O 0.206 0.057 0.054


Which of them is least stable? Easy: 1).
____________
### Brief
It remains to transcribe everything further above with every line break kept.
### Done
1) The following is a DFT calculation (PBE with a Hubbard U) of an optimized crystal structure of LiP3W2O13.

Summary:
Size of the total moment (μB per atom): 0.11

abc: 8.934 8.934 8.907
angles: 69.18 69.18 105.29
Fractional coordinates of all 38 atoms:
O 0.701 0.963 0.467
P 0.488 0.512 0.250
O 0.501 0.603 0.582
O 0.802 0.856 0.768
O 0.603 0.501 0.082
O 0.930 0.254 0.406
O 0.299 0.037 0.533
O 0.144 0.198 0.732
W 0.339 0.172 0.671
O 0.152 0.600 0.097
O 0.290 0.444 0.293
O 0.254 0.930 0.906
O 0.710 0.556 0.707
O 0.070 0.746 0.594
O 0.400 0.848 0.403
Li 0.500 0.000 0.000
P 0.260 0.848 0.560
W 0.828 0.661 0.829
O 0.739 0.261 0.250
O 0.198 0.144 0.232
O 0.556 0.710 0.207
W 0.172 0.339 0.171
O 0.444 0.290 0.793
O 0.856 0.802 0.268
O 0.848 0.400 0.903
P 0.152 0.740 0.940
P 0.740 0.152 0.440
Li 0.000 0.500 0.500
O 0.037 0.299 0.033
O 0.499 0.397 0.418
O 0.600 0.152 0.597
W 0.661 0.828 0.329
P 0.512 0.488 0.750
O 0.397 0.499 0.918
O 0.746 0.070 0.094
O 0.963 0.701 0.967
O 0.261 0.739 0.750
P 0.848 0.260 0.060


2) The following is a DFT calculation (PBE with a Hubbard U) of an optimized crystal structure of LiP3W2O13.

Summary:
Size of the total moment (μB per atom): 0.11

abc: 22.637 6.487 8.832
angles: 52.72 90.00 90.00
Fractional coordinates of all 76 atoms:
O 0.085 0.646 0.459
P 0.901 0.980 0.301
P 0.584 0.464 0.154
O 0.845 0.545 0.230
O 0.112 0.246 0.478
P 0.084 0.536 0.346
O 0.023 0.504 0.290
O 0.155 0.455 0.770
O 0.192 0.418 0.063
O 0.840 0.061 0.208
O 0.794 0.943 0.946
W 0.792 0.255 0.958
W 0.208 0.745 0.042
O 0.066 0.811 0.705
W 0.708 0.255 0.458
P 0.296 0.357 0.420
O 0.345 0.455 0.270
O 0.436 0.262 0.526
W 0.292 0.745 0.542
P 0.099 0.020 0.699
O 0.221 0.838 0.441
O 0.737 0.515 0.183
O 0.779 0.162 0.559
O 0.263 0.485 0.817
O 0.585 0.354 0.041
O 0.660 0.061 0.708
O 0.625 0.312 0.326
O 0.434 0.811 0.205
O 0.279 0.838 0.941
O 0.888 0.754 0.522
Li 0.150 0.975 0.290
W 0.565 0.555 0.722
O 0.059 0.133 0.772
O 0.875 0.312 0.826
O 0.237 0.485 0.317
O 0.523 0.496 0.210
O 0.941 0.867 0.228
O 0.375 0.688 0.674
O 0.125 0.688 0.174
O 0.294 0.057 0.554
W 0.435 0.445 0.278
O 0.655 0.545 0.730
O 0.441 0.133 0.272
W 0.935 0.555 0.222
Li 0.350 0.975 0.790
Li 0.850 0.025 0.710
O 0.415 0.646 0.959
O 0.915 0.354 0.541
O 0.721 0.162 0.059
O 0.936 0.738 0.974
O 0.559 0.867 0.728
O 0.160 0.939 0.792
O 0.477 0.504 0.790
O 0.692 0.582 0.437
O 0.706 0.943 0.446
O 0.064 0.262 0.026
P 0.416 0.536 0.846
O 0.934 0.189 0.295
O 0.763 0.515 0.683
O 0.340 0.939 0.292
O 0.564 0.738 0.474
P 0.599 0.980 0.801
P 0.916 0.464 0.654
O 0.308 0.418 0.563
P 0.704 0.643 0.580
O 0.388 0.246 0.978
O 0.977 0.496 0.710
P 0.204 0.357 0.920
P 0.796 0.643 0.080
O 0.808 0.582 0.937
P 0.401 0.020 0.199
O 0.612 0.754 0.022
W 0.065 0.445 0.778
O 0.566 0.189 0.795
Li 0.650 0.025 0.210
O 0.206 0.057 0.054


Which of them is least stable? Easy: 1).